Exercise >
The reader should start at the top of the block underneath and copy each line, ending with the one that has "BaAgBH6 after".

Material >
~~~
VASP calculation (PBE) on PS after structural relaxation.

Cell and atoms, written as CIF:
```
data_PS
_symmetry_space_group_name_H-M 'I 4/m m m'
_symmetry_Int_Tables_number 139
_symmetry_space_group_name_Hall '-I 4 2'
_cell_length_a 3.577
_cell_length_b 3.577
_cell_length_c 5.119
_cell_angle_alpha 90.00
_cell_angle_beta 90.00
_cell_angle_gamma 90.00
loop_
_atom_site_label
_atom_site_fract_x
_atom_site_fract_y
_atom_site_fract_z
_atom_site_occupancy
P1 0.000 0.000 0.000 1
S1 0.000 0.000 0.500 1
```

Calculated values
DOS at the Fermi energy = 2.5 states/eV per cell
formation energy without anion corrections = 438 meV/atom

***

VASP calculation (PBE) on Ac3Pr4Nd8 after structural relaxation.

Cell and atoms, written as CIF:
```
data_Ac3Pr4Nd8
_symmetry_space_group_name_H-M 'C 1 2/m 1'
_symmetry_Int_Tables_number 12
_cell_length_a 14.572
_cell_length_b 12.731
_cell_length_c 7.083
_cell_angle_alpha 90.00
_cell_angle_beta 119.04
_cell_angle_gamma 90.00
loop_
_symmetry_equiv_pos_as_xyz
'x,y,z'
'-x,-y,-z'
'-x,y,-z'
'x,-y,z'
'x+1/2,y+1/2,z'
'-x+1/2,-y+1/2,-z'
'-x+1/2,y+1/2,-z'
'x+1/2,-y+1/2,z'
loop_
_atom_site_label
_atom_site_fract_x
_atom_site_fract_y
_atom_site_fract_z
_atom_site_occupancy
Ac1 0.000 0.000 0.000 1
Ac2 0.250 0.250 0.500 1
Pr1 0.000 0.500 0.000 1
Pr2 0.000 0.500 0.500 1
Pr3 0.250 0.250 0.000 1
Nd1 0.000 0.205 0.500 1
Nd2 0.000 0.257 0.000 1
Nd3 0.202 0.000 0.705 1
Nd4 0.242 0.500 0.757 1
```

Calculated values
DOS at the Fermi energy = 55.3 states/eV per cell
formation energy = 318 meV/atom

***

VASP calculation (PBE) on Pu4ZrO10 after structural relaxation.

Cell and atoms, written as CIF:
```
data_Pu4ZrO10
_symmetry_space_group_name_H-M 'R -3 m'
_symmetry_Int_Tables_number 166
_symmetry_space_group_name_Hall '-R 3 2"'
_cell_length_a 3.7723
_cell_length_b 3.7723
_cell_length_c 46.3307
_cell_angle_alpha 90.00
_cell_angle_beta 90.00
_cell_angle_gamma 120.00
loop_
_atom_site_label
_atom_site_fract_x
_atom_site_fract_y
_atom_site_fract_z
_atom_site_occupancy
Pu1 0.0000 0.0000 0.1017 1
Pu2 0.0000 0.0000 0.2994 1
Zr1 0.0000 0.0000 0.5000 1
O1 0.0000 0.0000 0.0510 1
O2 0.0000 0.0000 0.1521 1
O3 0.0000 0.0000 0.2485 1
O4 0.0000 0.0000 0.3502 1
O5 0.0000 0.0000 0.4526 1
```

Calculated values
DOS at the Fermi energy = 36.7 states/eV per cell
formation energy without anion corrections = -3148 meV/atom

***

VASP calculation (PBE) on SrPrTm2 after structural relaxation.

Cell and atoms, written as CIF:
```
data_SrPrTm2
_symmetry_space_group_name_H-M 'R -3 m'
_symmetry_Int_Tables_number 166
_symmetry_space_group_name_Hall '-R 3 2"'
_cell_length_a 3.6235
_cell_length_b 3.6235
_cell_length_c 38.3409
_cell_angle_alpha 90.00
_cell_angle_beta 90.00
_cell_angle_gamma 120.00
loop_
_atom_site_label
_atom_site_fract_x
_atom_site_fract_y
_atom_site_fract_z
_atom_site_occupancy
Sr1 0.0000 0.0000 0.0000 1
Pr1 0.0000 0.0000 0.5000 1
Tm1 0.0000 0.0000 0.0922 1
```

Calculated values
DOS at the Fermi energy = 17.1 states/eV per cell
formation energy = 246 meV/atom

***

VASP calculation (PBE) on BaAgBH6 after structural relaxation.

Cell and atoms, written as CIF:
```
data_BaAgBH6
_symmetry_space_group_name_H-M 'P 1'
_symmetry_Int_Tables_number 1
_cell_length_a 4.521
_cell_length_b 5.812
_cell_length_c 5.944
_cell_angle_alpha 60.90
_cell_angle_beta 67.71
_cell_angle_gamma 89.99
loop_
_symmetry_equiv_pos_as_xyz
'x,y,z'
loop_
_atom_site_label
_atom_site_fract_x
_atom_site_fract_y
_atom_site_fract_z
_atom_site_occupancy
Ba1 0.000 0.000 0.000 1
Ag1 0.567 0.549 0.867 1
B1 0.265 0.965 0.469 1
H1 0.057 0.098 0.439 1
H2 0.144 0.755 0.710 1
H3 0.348 0.883 0.304 1
H4 0.480 0.725 0.040 1
H5 0.502 0.098 0.440 1
H6 0.638 0.350 0.723 1
```

Calculated values
VASP energy = -3.753 eV/atom
DOS at the Fermi energy = 0.0 states/eV per cell

***

VASP calculation (PBE) on Ce2DyGa6 after structural relaxation.

Cell and atoms, written as CIF:
```
data_Ce2DyGa6
_symmetry_space_group_name_H-M 'I m m m'
_symmetry_Int_Tables_number 71
~~~

Worked solution >
VASP calculation (PBE) on PS after structural relaxation.

Cell and atoms, written as CIF:
```
data_PS
_symmetry_space_group_name_H-M 'I 4/m m m'
_symmetry_Int_Tables_number 139
_symmetry_space_group_name_Hall '-I 4 2'
_cell_length_a 3.577
_cell_length_b 3.577
_cell_length_c 5.119
_cell_angle_alpha 90.00
_cell_angle_beta 90.00
_cell_angle_gamma 90.00
loop_
_atom_site_label
_atom_site_fract_x
_atom_site_fract_y
_atom_site_fract_z
_atom_site_occupancy
P1 0.000 0.000 0.000 1
S1 0.000 0.000 0.500 1
```

Calculated values
DOS at the Fermi energy = 2.5 states/eV per cell
formation energy without anion corrections = 438 meV/atom

***

VASP calculation (PBE) on Ac3Pr4Nd8 after structural relaxation.

Cell and atoms, written as CIF:
```
data_Ac3Pr4Nd8
_symmetry_space_group_name_H-M 'C 1 2/m 1'
_symmetry_Int_Tables_number 12
_cell_length_a 14.572
_cell_length_b 12.731
_cell_length_c 7.083
_cell_angle_alpha 90.00
_cell_angle_beta 119.04
_cell_angle_gamma 90.00
loop_
_symmetry_equiv_pos_as_xyz
'x,y,z'
'-x,-y,-z'
'-x,y,-z'
'x,-y,z'
'x+1/2,y+1/2,z'
'-x+1/2,-y+1/2,-z'
'-x+1/2,y+1/2,-z'
'x+1/2,-y+1/2,z'
loop_
_atom_site_label
_atom_site_fract_x
_atom_site_fract_y
_atom_site_fract_z
_atom_site_occupancy
Ac1 0.000 0.000 0.000 1
Ac2 0.250 0.250 0.500 1
Pr1 0.000 0.500 0.000 1
Pr2 0.000 0.500 0.500 1
Pr3 0.250 0.250 0.000 1
Nd1 0.000 0.205 0.500 1
Nd2 0.000 0.257 0.000 1
Nd3 0.202 0.000 0.705 1
Nd4 0.242 0.500 0.757 1
```

Calculated values
DOS at the Fermi energy = 55.3 states/eV per cell
formation energy = 318 meV/atom

***

VASP calculation (PBE) on Pu4ZrO10 after structural relaxation.

Cell and atoms, written as CIF:
```
data_Pu4ZrO10
_symmetry_space_group_name_H-M 'R -3 m'
_symmetry_Int_Tables_number 166
_symmetry_space_group_name_Hall '-R 3 2"'
_cell_length_a 3.7723
_cell_length_b 3.7723
_cell_length_c 46.3307
_cell_angle_alpha 90.00
_cell_angle_beta 90.00
_cell_angle_gamma 120.00
loop_
_atom_site_label
_atom_site_fract_x
_atom_site_fract_y
_atom_site_fract_z
_atom_site_occupancy
Pu1 0.0000 0.0000 0.1017 1
Pu2 0.0000 0.0000 0.2994 1
Zr1 0.0000 0.0000 0.5000 1
O1 0.0000 0.0000 0.0510 1
O2 0.0000 0.0000 0.1521 1
O3 0.0000 0.0000 0.2485 1
O4 0.0000 0.0000 0.3502 1
O5 0.0000 0.0000 0.4526 1
```

Calculated values
DOS at the Fermi energy = 36.7 states/eV per cell
formation energy without anion corrections = -3148 meV/atom

***

VASP calculation (PBE) on SrPrTm2 after structural relaxation.

Cell and atoms, written as CIF:
```
data_SrPrTm2
_symmetry_space_group_name_H-M 'R -3 m'
_symmetry_Int_Tables_number 166
_symmetry_space_group_name_Hall '-R 3 2"'
_cell_length_a 3.6235
_cell_length_b 3.6235
_cell_length_c 38.3409
_cell_angle_alpha 90.00
_cell_angle_beta 90.00
_cell_angle_gamma 120.00
loop_
_atom_site_label
_atom_site_fract_x
_atom_site_fract_y
_atom_site_fract_z
_atom_site_occupancy
Sr1 0.0000 0.0000 0.0000 1
Pr1 0.0000 0.0000 0.5000 1
Tm1 0.0000 0.0000 0.0922 1
```

Calculated values
DOS at the Fermi energy = 17.1 states/eV per cell
formation energy = 246 meV/atom

***

VASP calculation (PBE) on BaAgBH6 after structural relaxation.